The software publisher


    Alchemy is the software publisher of Phraseanet.

    We have an expertise of 20+ years, developing Phraseanet and implementing the solution in many companies with specific and various needs.

_Data records, kept here for reference_
No. 1
PBE with a Hubbard U Co3P6WO24, relaxed; energy of formation = -2.106 eV per atom; SG = R3 (146)
1.0
4.3569 2.5155 7.3466
-4.3569 2.5155 7.3466
0.0000 -5.0309 7.3466
Co P W O
3 6 1 24
direct
0.0000 0.0000 0.0000
0.2164 0.2164 0.2164
0.4993 0.4993 0.4993
0.1127 0.8245 0.3889
0.3206 0.6066 0.8924
0.3889 0.1127 0.8245
0.6066 0.8924 0.3206
0.8245 0.3889 0.1127
0.8924 0.3206 0.6066
0.7166 0.7166 0.7166
0.0715 0.3020 0.4348
0.0768 0.8550 0.2238
0.1306 0.9969 0.3678
0.1438 0.7766 0.9253
0.2238 0.0768 0.8550
0.2789 0.6467 0.4226
0.3020 0.4348 0.0715
0.3508 0.5784 0.7233
0.3678 0.1306 0.9969
0.4226 0.2789 0.6467
0.4348 0.0715 0.3020
0.4963 0.6421 0.8558
0.5719 0.9333 0.7918
0.5784 0.7233 0.3508
0.6421 0.8558 0.4963
0.6467 0.4226 0.2789
0.7233 0.3508 0.5784
0.7766 0.9253 0.1438
0.7918 0.5719 0.9333
0.8550 0.2238 0.0768
0.8558 0.4963 0.6421
0.9253 0.1438 0.7766
0.9333 0.7918 0.5719
0.9969 0.3678 0.1306

=====

No. 2
PBE with a Hubbard U Li3V3B2O10, relaxed; energy of formation = -2.567 eV per atom; relative energy among the computed polymorphs = 11 meV/atom; SG = P1 (1)
1.0
3.0138 0.0000 0.0000
0.1202 9.3374 0.0000
0.0514 0.3107 12.1609
Li V B O
6 6 4 20
direct
0.0000 0.0000 0.0000
0.9998 0.4860 0.2151
0.0007 0.0037 0.7183
0.0050 0.0193 0.4414
0.5025 0.5012 0.7195
0.5049 0.2728 0.3346
0.0013 0.4975 0.4980
0.0047 0.4983 0.9368
0.4834 0.7667 0.6097
0.4857 0.0069 0.2212
0.4990 0.7398 0.1063
0.5206 0.2356 0.8284
0.5000 0.2271 0.5749
0.5021 0.2734 0.0887
0.5028 0.7300 0.3509
0.5036 0.7710 0.8605
0.0027 0.4135 0.3781
0.0034 0.6133 0.0647
0.0121 0.1003 0.2793
0.0146 0.3789 0.7978
0.0200 0.8802 0.5739
0.4837 0.1629 0.6797
0.4969 0.1249 0.0832
0.4978 0.6509 0.4577
0.4992 0.8443 0.9560
0.5008 0.6514 0.2587
0.5034 0.3517 0.1777
0.5044 0.1557 0.4823
0.5045 0.3472 0.9794
0.5042 0.3857 0.5716
0.5039 0.6188 0.8627
0.5117 0.8752 0.3559
0.5142 0.8423 0.7588
0.9838 0.1208 0.8641
0.9875 0.6222 0.6376
0.9959 0.8863 0.1502

=====

No. 3
PBE with a Hubbard U NaFe2P2HO8, relaxed; energy of formation = -2.286 eV per atom; relative energy among the computed polymorphs = 0 meV/atom; SG = P-1 (2)
1.0
5.2636 0.0000 0.0000
-2.4016 8.3790 0.0000
-1.5070 -1.3614 8.8560
Na Fe P H O
2 4 4 2 16
direct
0.0932 0.3165 0.3235
0.9068 0.6835 0.6765
0.1888 0.8846 0.0991
0.2768 0.3908 0.7367
0.7232 0.6092 0.2633
0.8112 0.1154 0.9009
0.3483 0.7494 0.4213
0.3801 0.2551 0.0631
0.6199 0.7449 0.9369
0.6517 0.2506 0.5787
0.4235 0.9372 0.6196
0.5765 0.0628 0.3804
0.0957 0.6042 0.3589
0.1950 0.1185 0.1302
0.2061 0.2569 0.9043
0.3011 0.8229 0.5794
0.3504 0.7742 0.9541
0.3802 0.8824 0.3184
0.3960 0.3058 0.5501
0.4245 0.4141 0.1679
0.5755 0.5859 0.8321
0.6040 0.6942 0.4499
0.6198 0.1176 0.6816
0.6496 0.2258 0.0459
0.6989 0.1771 0.4206
0.7939 0.7431 0.0957
0.8050 0.8815 0.8698
0.9043 0.3958 0.6411

=====

No. 4
PBE with a Hubbard U Li3Mn4NiO8, relaxed; energy of formation = -2.004 eV per atom; SG = C2/m (12)
1.0
5.1537 -3.0361 0.0000
5.1537 3.0361 0.0000
-3.5584 0.0000 4.9260
Li Mn Ni O
3 4 1 8
direct
_So much for the data records_

    The Alchemy development team is composed by 5 developers, all dedicated to Phraseanet and placed under the management of a technical director who coordinates the product strategy to reflect and anticipate users’ needs relayed by the projects and sales teams.

    Our customers project managers, trainers and technicians will support you through the life of the solution.

    To learn more about Alchemy


    To support the implementation of Phraseanet, Alchemy and its partners offer you a set of accompanying services and service contracts.

    Global Services

    These services cover areas as various as assistance with setup, study (to allow you to have a clear understanding of your needs and their functional translation into the solution), training… Feel free to contact us to learn more…


    The Phraseanet Contract Services do not differ on the functional level. The difference between the contrats is simply related to the level of serice to match the needs of the organization and the scope of the project.


    Phraseanet is also available in Saas offer. Built on a solid hosting infrastructure and proven for many years !

    Our platforms show an availability of 99,99% and are based on the latest generation of equipment. They are built on infrastructures able of meeting the requirements of availability, power and capacity of storage and backups for clients with very high availability constraints.


    Alchemy relies on a network of partners and integrators who are available to accompany you in your Phraseanet project!

    • ACTIVO

    logo-web-transparent black horizontal white

    Activo offers a wide range of services to customers (brands, retailers, agencies, corporate) and vendors.

    For clients, Activo provides digital solutions strategy from RFP, vendor selection criteria analysis, to requirements analysis, metadata and workflows strategies and end-to-end implementation project management.

-- The entry is interrupted by records of crystals --
┌──
Entry 1:
# PBE-GGA Li2Cu4S3, relaxed
# Formation energy from the elements = -0.631 eV/atom
# Relative energy among the computed polymorphs = 41 meV/atom
data_Li2Cu4S3
_cell_length_a 11.260
_cell_length_b 9.289
_cell_length_c 6.041
_cell_angle_alpha 90.00
_cell_angle_beta 118.19
_cell_angle_gamma 90.00
_space_group_name_H-M_alt 'C 1 2/c 1'
_space_group_IT_number 15
loop_
_space_group_symop_operation_xyz
'x,y,z'
'-x,-y,-z'
'-x,y,-z+1/2'
'x,-y,z+1/2'
'x+1/2,y+1/2,z'
'-x+1/2,-y+1/2,-z'
'-x+1/2,y+1/2,-z+1/2'
'x+1/2,-y+1/2,z+1/2'
loop_
_atom_site_label
_atom_site_type_symbol
_atom_site_fract_x
_atom_site_fract_y
_atom_site_fract_z
Li1 Li 0.160 0.063 0.167
Cu1 Cu 0.119 0.367 0.966
Cu2 Cu 0.146 0.234 0.615
S1 S 0.000 0.160 0.750
S2 S 0.179 0.409 0.383


Entry 2:
# PBE-GGA ReO2, relaxed
# Formation energy from the elements = -1.896 eV/atom
data_ReO2
_cell_length_a 4.886
_cell_length_b 5.700
_cell_length_c 4.630
_cell_angle_alpha 90.00
_cell_angle_beta 90.00
_cell_angle_gamma 90.00
_space_group_name_H-M_alt 'P b c n'
_space_group_IT_number 60
loop_
_space_group_symop_operation_xyz
'x,y,z'
'-x,-y,-z'
'-x+1/2,-y+1/2,z+1/2'
'x+1/2,y+1/2,-z+1/2'
'x+1/2,-y+1/2,-z'
'-x+1/2,y+1/2,z'
'-x,y,-z+1/2'
'x,-y,z+1/2'
loop_
_atom_site_label
_atom_site_type_symbol
_atom_site_fract_x
_atom_site_fract_y
_atom_site_fract_z
Re1 Re 0.000 0.108 0.250
O1 O 0.243 0.360 0.091


| no. | electronic total energy (eV/cell) |
| --- | --- |
| 1 | -147.2 |
| 2 | -106.6 |
└──
-- The records of crystals stop here --

    Frédéric SANUY is a 25-year expert of the information technology industry, with Digital Asset Management (DAM), Product Information Management (PIM) and Content Management System (CMS).

    To learn more


    Useful resources:


    A designer of the SWYP editorial collaborative system, RIPConsulting supports and advises publishers, agencies, studios, boards, communities for everything related to the optimization of the methods of implementation. Featuring a large field of experience in the print and the digital, RIPConsulting analyses all the processes and offers the implementation of its recommendations.


    Carrick Skills was founded by video professionals willing to provide the best solutions to build and easily manage complex media workflows.

    Learn more:

    • MSI (New Caledonia) brings you its expertise :

    -Assistance to project management (MOA) and project management (MOE) by ensuring the management and management of projects;
    -The drafting of the specifications of your projects;
    -Integration and transfer of skills in the field of dematerialization, electronic document management and electronic

    • INTELLIA (Morocco)

    A publisher of software and information services, Intellia has gained expertise in the field of new technologies which are document management oriented, collaboration, communication and knowledge sharing.

    > How to become an official Partner ? Please view this page:

    Becoming a certified Phraseanet partner.